Arik Bjorn Reviews Cinderella at Columbia Children’s Theatre: Bippity-Boppity Buffoonery with a Spaghetti Twist

Somewhere in Columbia this evening, the minds of sleeping children are processing the uproarious phenomenon that is Columbia Children’s Theatre’s current Commedia dell'Arte production of Cinderella.  Until tonight, these innocents had never heard Olivia Newton-John sing “Xanadu.”  Never once had it occurred to them that a princess could be bippity-boppity-beautiful in a hot pink and floral poodle skirt and piggy slippers.  And they have no idea why their parents’ bellies burst with laughter over references to some guy named Dick Cheney and tapeworms, and at the unbridled performance of a white trash, uni-browed wicked stepmother, who makes Norma Desmond look like Mother Teresa. These flowers of our future returned to the comfort of their domiciles on Cinderella’s opening night with a renewed, perhaps refined, appreciation of clowning and fairy tales.  And when their cerebellums finally finish stripping away all the layers of buffoonery and silliness sometime in August, what will remain is the essential truth that beauty on the inside matters most.  That, and never be the last one caught holding a rubber chicken at the end of a Keystone Cops-style chase scene.

## Attached: data records
'''
{
  "formula": "C92H138F10N8O8",
  "method": "ωB97M-V with the def2-TZVPD basis set",
  "species": ["F", "C", "C", "C", "C", "C", "C", "H", "H", "H", "H", "H", "F", "C", "C", "C", "C", "C", "C", "H", "H", "H", "H", "H", "F", "C", "C", "C", "C", "C", "C", "H", "H", "H", "H", "H", "F", "C", "C", "C", "C", "C", "C", "H", "H", "H", "H", "H", "F", "C", "C", "C", "C", "C", "C", "H", "H", "H", "H", "H", "F", "C", "C", "C", "C", "C", "C", "H", "H", "H", "H", "H", "F", "C", "C", "C", "C", "C", "C", "H", "H", "H", "H", "H", "F", "C", "C", "C", "C", "C", "C", "H", "H", "H", "H", "H", "F", "C", "C", "C", "C", "C", "C", "H", "H", "H", "H", "H", "F", "C", "C", "C", "C", "C", "C", "H", "H", "H", "H", "H", "C", "C", "C", "O", "C", "N", "H", "H", "H", "H", "H", "H", "H", "H", "H", "H", "H", "C", "C", "C", "O", "C", "N", "H", "H", "H", "H", "H", "H", "H", "H", "H", "H", "H", "C", "C", "C", "O", "C", "N", "H", "H", "H", "H", "H", "H", "H", "H", "H", "H", "H", "C", "C", "C", "O", "C", "N", "H", "H", "H", "H", "H", "H", "H", "H", "H", "H", "H", "C", "C", "C", "O", "C", "N", "H", "H", "H", "H", "H", "H", "H", "H", "H", "H", "H", "C", "C", "C", "O", "C", "N", "H", "H", "H", "H", "H", "H", "H", "H", "H", "H", "H", "C", "C", "C", "O", "C", "N", "H", "H", "H", "H", "H", "H", "H", "H", "H", "H", "H", "C", "C", "C", "O", "C", "N", "H", "H", "H", "H", "H", "H", "H", "H", "H", "H", "H"],
'''
## Here the entry continues

If you have never attended Columbia Children’s Theatre, your family is in for a real treat, one which begins well before the house lights are dimmed.  First, you will be doing society a great service by patronizing the only retail mall space in the world that has managed to redeem the boxed blandness of space usually reserved for Aeropostale and Banana Republic outlets.

**Next to the piece, the page also holds calculated molecules:**
No. 1
ORCA calculation (ωB97M-V/def2-TZVPD) on C17H11F5N2OS2Zr as an isolated structure in a non-equilibrium geometry.

ORCA input file:
```
! wB97M-V def2-TZVPD RIJCOSX def2/J DEFGRID3
* xyz 2 1
Zr 0.85 0.64 0.87
N 0.05 2.53 -0.03
C -1.26 2.20 -0.60
C -1.96 3.12 -1.35
C -3.24 2.83 -1.86
C -3.81 1.61 -1.61
C -3.13 0.64 -0.84
C -3.69 -0.61 -0.51
C -3.00 -1.49 0.29
C -1.71 -1.15 0.72
N -1.14 0.01 0.41
C -1.83 0.93 -0.34
H 0.62 2.95 -0.79
H -0.07 3.29 0.66
H -1.54 4.10 -1.54
H -3.77 3.58 -2.42
H -4.79 1.37 -1.99
H -4.68 -0.86 -0.87
H -3.42 -2.44 0.58
H -1.14 -1.82 1.36
C 2.98 -1.66 4.75
O 1.78 -0.93 4.50
C 1.63 -0.16 3.49
S 2.87 0.19 2.34
S 0.08 0.55 3.29
H 2.71 -2.48 5.41
H 3.71 -1.01 5.24
H 3.40 -2.03 3.81
F 1.24 -1.86 0.61
C 1.70 -1.56 -0.71
C 1.62 -0.20 -0.97
C 2.01 0.23 -2.22
F 1.88 1.57 -2.38
C 2.47 -0.65 -3.20
F 2.83 -0.24 -4.40
C 2.53 -2.02 -2.89
F 2.93 -2.87 -3.81
C 2.14 -2.50 -1.63
F 2.18 -3.79 -1.36
*
```

Values from the calculation:
LUMO level = -0.299 Ha
Total energy = -2181.3881 a.u.
ΔE to the lowest compared entry with this formula, charge and spin = 14.9 kcal/mol
HOMO level = -15.575 eV

***

No. 2
ORCA calculation (ωB97M-V/def2-TZVPD) on a 8-piece molecular cluster, H17O8 overall in a non-equilibrium geometry.

ORCA input file:
```
! wB97M-V def2-TZVPD RIJCOSX def2/J DEFGRID3
* xyz 1 1
O 0.29 -0.17 0.02
H 0.07 0.81 -0.04
H -0.57 -0.75 0.38
H 0.89 -0.68 -0.70
O -2.42 -1.45 2.54
H -2.21 -0.48 2.48
H -3.26 -1.46 2.19
O 3.01 1.41 -0.51
H 3.71 2.09 -0.57
H 2.71 1.34 -1.42
O -0.19 2.22 -0.62
H -0.64 1.56 -1.31
H 0.72 2.31 -0.90
O -1.18 0.10 -2.01
H -1.30 -0.31 -2.87
H -1.91 -0.29 -1.30
O 0.15 1.88 2.34
H -0.76 1.96 2.08
H 0.44 2.63 2.74
O -1.16 -2.58 0.33
H -0.79 -3.47 0.40
H -1.67 -2.34 1.14
O 2.01 -1.09 -1.31
H 2.30 -1.96 -0.91
H 1.74 -1.25 -2.19
*
```

Values from the calculation:
LUMO level = -0.131 Ha
Total energy = -611.8096 a.u.
ΔE to the lowest compared entry with this formula, charge and spin = 63.8 kcal/mol
HOMO level = -14.387 eV

***

No. 3
ORCA calculation (ωB97M-V/def2-TZVPD) on a 2-piece molecular cluster, C3H9N3 overall in a non-equilibrium geometry.

ORCA input file:
```
! wB97M-V def2-TZVPD RIJCOSX def2/J DEFGRID3
* xyz 1 2
C 0.38 -2.77 2.28
C -0.37 -1.62 2.08
N -0.24 -0.77 1.09
H 0.34 -3.27 3.24
H 0.92 -3.23 1.46
H -1.09 -1.31 2.83
H 0.53 -0.81 0.43
H -0.58 0.18 1.15
N -0.52 2.60 -1.40
C -0.06 1.68 -2.31
N 0.88 1.93 -3.11
H 0.13 3.35 -1.22
H -1.05 2.19 -0.66
H -0.63 0.74 -2.40
H 1.37 1.10 -3.45
*
```

Values from the calculation:
LUMO level (alpha / beta) = -0.166 / -0.293 Ha
Total energy = -283.6245 a.u.
Expectation value of S² = 0.762
ΔE to the lowest compared entry with this formula, charge and spin = 28.6 kcal/mol
HOMO level (alpha / beta) = -11.873 / -11.871 eV

***

No. 4
ORCA calculation (ωB97M-V/def2-TZVPD) on an isolated molecule of C18H21NO4 in a non-equilibrium geometry.

ORCA input file:
```
! wB97M-V def2-TZVPD RIJCOSX def2/J DEFGRID3
* xyz 0 1
O -2.88 -2.63 -0.91
O 0.33 -0.34 3.43
O -0.78 0.15 -1.62
**The calculated molecules stop here:**

Artistic Director Jerry Stevenson and Managing Director Jim Litzinger have built a children’s thespian wonderland on the second level of Richland Fashion Mall.  Children enter a lobby space filled with suits of armor, masks, and costumes, then are swiftly separated from their parents like wheat from chaff, the adults condemned to “grown-up chairs” while the tots are invited to dance to “Y.M.C.A.” and “The Hokey Pokey” on a brightly-checkered, padded floor space in front of the stage area.  Children eat popcorn and Skittles, adults sip Coke, and everyone has a relaxed sense that this is the kind of theatre that was designed in Willy Wonka’s world of forms.

As to the show itself, the above tidbits have prepared you for the fact that this is not your average Cinderella production.  The curtain rises (or, rather, is tossed off stage left), and the (Jiminy) crickets begin.  Literal crickets, actually, prompting a series of knowing chuckles from adults, and bewildered looks by children.  Then a comedic troupe with mock-Italian accents, presenting itself as the Spaghetti & Meatball Players, demolish the fourth wall, and begin banging into each other with parasols and hat racks.  From there, it’s a jet-fueled, jolly joker jaunt into humor hyperspace.  Eighty minutes later, adults and children alike are ready for giggling triage.

The text is interrupted by quantum chemistry results =
Entry 1:
Here is C21H14Cl2F6N3O6S3Sr as an isolated structure at a distorted geometry from the OMol25 dataset. Energies are from ωB97M-V with the def2-TZVPD basis set.

The charge is -1. Its spin multiplicity is 1. The value obtained for the LUMO energy is 2.53 eV.

```
56
Properties=species:S:1:pos:R:3:forces:R:3
Sr -0.41962 -0.42399 0.28448 0.159 -1.068 0.060
F 0.19379 4.94466 1.07962 -0.005 0.012 -0.004
C 0.94693 3.98370 0.55296 0.018 -0.032 0.014
F 1.66077 3.41425 1.51854 -0.003 0.000 -0.001
F 1.77897 4.52656 -0.33632 -0.006 -0.006 0.001
S -0.11422 2.74345 -0.29966 -0.035 0.127 0.033
O 0.80374 1.70404 -0.71829 -0.041 0.112 -0.033
O -0.84512 3.46005 -1.29536 0.024 0.030 0.018
N -0.96287 2.19371 0.91804 -0.149 0.198 -0.029
S -2.54303 1.99056 0.81069 0.039 0.087 0.012
O -2.81954 0.87764 -0.06939 -0.007 0.060 0.053
O -3.33979 3.16964 0.73156 -0.011 -0.002 -0.009
C -2.78596 1.30502 2.51169 0.010 0.073 0.013
F -2.67991 2.26412 3.42732 0.014 -0.027 -0.006
F -1.87530 0.36115 2.77530 -0.044 -0.017 -0.064
F -3.99675 0.76656 2.58341 0.010 0.038 0.012
S 1.50571 -1.84162 2.11454 0.041 0.150 -0.004
C 2.04075 -2.48297 0.59217 0.049 0.038 -0.009
C 3.01554 -3.50059 0.51128 -0.024 -0.003 0.006
C 3.38988 -3.99456 -0.71586 0.000 0.007 -0.002
C 2.80117 -3.48866 -1.87506 0.006 -0.006 0.006
C 1.85326 -2.50010 -1.72390 -0.030 -0.035 0.008
N 1.48667 -2.00367 -0.54057 0.059 0.043 -0.019
H 3.44941 -3.87412 1.42860 -0.002 -0.001 -0.001
H 4.13578 -4.77869 -0.77877 -0.003 0.001 0.001
H 3.05808 -3.86122 -2.85657 -0.001 0.002 0.000
H 1.33958 -2.08606 -2.58498 0.001 0.001 0.001
Cl -0.33500 -5.49134 -1.14078 -0.039 0.022 -0.040
C -1.18816 -5.29984 0.35926 -0.047 -0.051 0.041
C -0.48295 -4.81421 1.44451 0.013 -0.029 -0.027
C -1.08908 -4.71354 2.68327 -0.019 -0.008 0.008
C -2.40366 -5.11819 2.83403 0.012 -0.007 -0.001
C -3.10202 -5.57536 1.73338 0.034 0.000 0.005
Cl -4.77824 -6.03128 1.93894 -0.005 0.001 0.006
C -2.53987 -5.65939 0.45452 0.045 0.024 0.047
N -3.28201 -6.11451 -0.62902 0.088 -0.167 -0.045
C -3.34300 -5.43875 -1.88455 -0.018 0.013 0.004
C -3.29612 -6.22024 -3.03606 0.034 -0.013 0.003
C -3.35102 -5.63909 -4.28919 0.001 0.019 0.002
C -3.42966 -4.25571 -4.39746 -0.008 -0.018 0.014
C -3.49160 -3.48270 -3.25192 0.011 0.012 -0.010
C -3.47688 -4.05294 -1.97978 -0.007 0.032 -0.002
C -3.63072 -3.16766 -0.77396 -0.040 0.004 -0.005
C -2.38110 -2.37073 -0.39163 0.007 -0.012 -0.034
O -1.64103 -1.94624 -1.31812 -0.019 0.135 0.004
O -2.19584 -2.12727 0.82751 -0.071 0.138 0.004
H 0.54448 -4.50956 1.30900 -0.006 -0.002 0.017
H -0.53562 -4.30447 3.51669 0.004 0.008 -0.007
H -2.90626 -5.05416 3.78905 -0.002 0.001 0.001
H -4.12598 -6.60024 -0.37271 -0.026 0.065 0.019
H -3.18068 -7.29122 -2.92423 -0.002 -0.001 0.004
H -3.30823 -6.25911 -5.17602 0.000 0.001 -0.001
H -3.44773 -3.78248 -5.37117 -0.001 -0.002 -0.001
H -3.55620 -2.40444 -3.32591 -0.003 -0.001 -0.002
H -3.97817 -3.71442 0.09898 -0.012 0.047 -0.038
H -4.38858 -2.40916 -0.99212 0.004 0.006 -0.021
```
Forces are in eV/Å.

***
Back to the text =

One cannot applaud enough the work of director Sam LaFrage, who, thankfully, has also provided a functional explanation of Commedia dell'Arte in the show program, for parents who mayfeel compelled to explain to their children why this production did not resemble Walt Disney’s familiar version.  (Actually, as a parent of a four-year-old daughter, I do recommend that parents explain there will be some differences in advance to their children.  My daughter Katherine loved the show, and cherished her onstage dance with actor Edward Precht, who plays the Prince and Meatballer Pantalone, yet she wanted a little reassurance afterwards that Cinderella’s castle estate in Orlando hadn’t been sacked and overrun by Italian clowns.)

As to the other Meatballers, Elizabeth Stepp brings enough pure energy to the stage to keep the Olympic flame alive until 2020.  Paul Lindley II and LaFrage (who moonlights as director and Meatballer) play gender-bending stepsisters of such pure, perfidious evil that I expected Macbeth’s Hecate to rise from the depths in the guise of Snooki.  LaFrage also brings down the house at one point as a ding-a-ling Chip Potts, lampooning the classic song “Beauty and the Beast.”  And Beth DeHart’s dual roles as roller skating fairy godmother and wicked stepmother Viola Scruffanickle quite nearly put one adult sitting near me into comic cardiac arrest.

Don’t just go to this show.  Go in droves.  Bring your neighbors.  Bring your friends.  Bring your worst enemies, and let the goofiness settle your long-term differences.  (For all that, consider the excellent weekday group rate that Columbia Children’s Theatre offers.  See website below for more details.)  But most importantly, bring your children.  Bring everyone’s children!  Then immediately afterward, have them call their grandparents and enjoy the pure thrill of watching them try to explain every strange and wonderful hilarity they have just experienced.

 ~ Arik Bjorn

Cinderella runs June 15-24, with performances at the following dates and time:  Friday, June 15 at 7 p.m.; Saturday, June 16 at 10:30 a.m. & 2 p.m.; Sunday, June 17 at 3 p.m.; Wednesday, June 20 at 10:30 a.m.; Thursday, June 21 at 10:30 a.m.; Friday, June 22 at 10:30 a.m., 1 p.m. & 7 p.m.; Saturday, June 23 at 10:30 a.m. & 2 p.m.; Sunday, June 24 at 3 p.m.; and a special Thursday, July 19 performance at 10:30 a.m.  Tickets are $8 for adults and children ages 3 and up.  The Columbia Children’s Theatre is located at the Second Level of Richland Mall, 3400 Forest Drive (corner of Beltline and Forest Drive).  Enter the Second Level parking garage walkway and park in Level 2-L for easy access.  Call 691.4548 for more information or to reserve tickets for groups of 10 or more.  To learn more about Columbia Children’s Theatre, visit .